== Listing ==
'''
[1]
The following is a DFT calculation (PBE) of a geometry-optimized InMo3Se3 structure.

Cell and atoms, written as POSCAR:
```
InMo3Se3
1.0
3.445 2.885 -8.037
-6.414 4.998 4.319
3.235 2.254 2.196
Se In Mo
6 2 6
direct
0.349 0.314 0.250 Se
0.034 0.349 0.750 Se
0.686 0.034 0.250 Se
0.314 0.966 0.750 Se
0.651 0.686 0.750 Se
0.966 0.651 0.250 Se
0.333 0.667 0.250 In
0.667 0.333 0.750 In
0.175 0.157 0.750 Mo
0.017 0.175 0.250 Mo
0.157 0.983 0.250 Mo
0.825 0.843 0.250 Mo
0.843 0.017 0.750 Mo
0.983 0.825 0.750 Mo
```

Summary:
Total magnetic moment in μB/f.u.: 0.00
Space-group type: P6_3/m, No. 176
Volume in Å³/f.u.: 165.7
Formation energy from the elements in eV per formula unit: -4.39
Energy above the most stable polymorph in this dataset in meV/atom: 0



[2]
The following is a DFT calculation (PBE) of a geometry-optimized Na3Bi2H42C18I9N6O9 structure.

Cell and atoms, written as POSCAR:
```
Na3Bi2H42C18I9N6O9
1.0
12.960 -0.019 4.026
5.271 11.722 4.533
0.015 -0.087 19.055
I Bi H N C O Na
18 4 84 12 36 18 6
direct
0.380 0.740 0.245 I
0.902 0.457 0.225 I
0.302 0.958 0.413 I
0.636 0.666 0.368 I
0.364 0.334 0.632 I
0.665 0.514 0.086 I
0.599 0.031 0.279 I
0.401 0.969 0.721 I
0.600 0.374 0.325 I
0.098 0.543 0.775 I
0.698 0.042 0.587 I
0.335 0.486 0.914 I
0.336 0.181 0.867 I
0.313 0.108 0.173 I
0.400 0.626 0.675 I
0.687 0.892 0.827 I
0.664 0.819 0.133 I
0.620 0.260 0.755 I
0.532 0.092 0.728 Bi
0.353 0.425 0.772 Bi
0.468 0.908 0.272 Bi
0.647 0.575 0.228 Bi
0.192 0.983 0.658 H
0.574 0.057 0.032 H
0.451 0.196 0.497 H
0.697 0.305 0.929 H
0.740 0.810 0.417 H
0.091 0.775 0.451 H
0.316 0.494 0.410 H
0.165 0.758 0.520 H
0.501 0.793 0.981 H
0.176 0.926 0.592 H
0.457 0.441 0.146 H
0.592 0.303 0.012 H
0.499 0.207 0.019 H
0.684 0.506 0.590 H
0.668 0.730 0.650 H
0.538 0.145 0.942 H
0.597 0.373 0.587 H
0.887 0.923 0.416 H
0.740 0.225 0.018 H
0.979 0.774 0.860 H
0.824 0.074 0.408 H
0.949 0.569 0.009 H
0.824 0.453 0.903 H
0.808 0.017 0.342 H
0.426 0.943 0.968 H
0.111 0.956 0.249 H
0.738 0.602 0.889 H
0.176 0.547 0.097 H
0.565 0.926 0.506 H
0.183 0.310 0.991 H
0.907 0.659 0.922 H
0.889 0.044 0.751 H
0.260 0.190 0.583 H
0.657 0.326 0.501 H
0.260 0.775 0.982 H
0.052 0.315 0.907 H
0.051 0.431 0.991 H
0.586 0.660 0.861 H
0.915 0.223 0.104 H
0.332 0.270 0.350 H
0.435 0.074 0.494 H
0.945 0.887 0.903 H
0.835 0.242 0.480 H
0.212 0.381 0.389 H
0.921 0.926 0.653 H
0.093 0.341 0.078 H
0.703 0.446 0.751 H
0.085 0.777 0.896 H
0.399 0.526 0.502 H
0.202 0.255 0.388 H
0.909 0.225 0.549 H
0.539 0.831 0.591 H
0.113 0.077 0.584 H
0.086 0.674 0.539 H
0.055 0.113 0.097 H
0.461 0.169 0.409 H
0.423 0.342 0.229 H
0.798 0.745 0.612 H
0.817 0.690 0.009 H
0.021 0.226 0.140 H
0.549 0.804 0.503 H
0.997 0.168 0.274 H
0.462 0.855 0.058 H
0.079 0.074 0.347 H
0.343 0.674 0.499 H
0.601 0.474 0.498 H
0.861 0.549 0.821 H
0.262 0.398 0.111 H
0.139 0.451 0.179 H
0.003 0.832 0.726 H
0.914 0.326 0.461 H
0.408 0.697 0.988 H
0.752 0.009 0.931 H
0.297 0.554 0.249 H
0.577 0.658 0.771 H
0.303 0.695 0.071 H
0.248 0.991 0.069 H
0.931 0.156 0.369 H
0.543 0.559 0.854 H
0.414 0.340 0.139 H
0.069 0.844 0.631 H
0.788 0.619 0.611 H
0.948 0.685 0.093 H
0.403 0.627 0.413 H
0.719 0.524 0.820 N
0.296 0.232 0.467 N
0.758 0.374 0.535 N
0.329 0.847 0.027 N
0.969 0.017 0.328 N
0.962 0.728 0.977 N
0.671 0.153 0.973 N
0.281 0.476 0.180 N
0.038 0.272 0.023 N
0.031 0.983 0.672 N
0.242 0.626 0.465 N
0.704 0.768 0.533 N
0.861 0.287 0.504 C
0.025 0.261 0.959 C
0.767 0.441 0.569 C
0.743 0.711 0.605 C
0.765 0.078 0.940 C
0.975 0.739 0.041 C
0.235 0.922 0.060 C
0.417 0.164 0.468 C
0.646 0.389 0.530 C
0.435 0.861 0.008 C
0.866 0.007 0.376 C
0.778 0.760 0.468 C
0.233 0.559 0.431 C
0.354 0.611 0.470 C
0.401 0.396 0.174 C
0.791 0.532 0.860 C
0.095 0.342 0.020 C
0.005 0.204 0.095 C
0.905 0.658 0.980 C
0.034 0.943 0.284 C
0.134 0.993 0.624 C
0.139 0.713 0.496 C
0.997 0.108 0.329 C
0.599 0.604 0.826 C
0.583 0.836 0.532 C
0.565 0.139 0.992 C
0.237 0.556 0.220 C
0.324 0.748 0.016 C
0.257 0.289 0.395 C
0.209 0.468 0.140 C
'''
== Exercise ==
Next, write out the rows earlier on from the first line to the one with "4.026" with every line break kept.
== Solution ==
[1]
The following is a DFT calculation (PBE) of a geometry-optimized InMo3Se3 structure.

Cell and atoms, written as POSCAR:
```
InMo3Se3
1.0
3.445 2.885 -8.037
-6.414 4.998 4.319
3.235 2.254 2.196
Se In Mo
6 2 6
direct
0.349 0.314 0.250 Se
0.034 0.349 0.750 Se
0.686 0.034 0.250 Se
0.314 0.966 0.750 Se
0.651 0.686 0.750 Se
0.966 0.651 0.250 Se
0.333 0.667 0.250 In
0.667 0.333 0.750 In
0.175 0.157 0.750 Mo
0.017 0.175 0.250 Mo
0.157 0.983 0.250 Mo
0.825 0.843 0.250 Mo
0.843 0.017 0.750 Mo
0.983 0.825 0.750 Mo
```

Summary:
Total magnetic moment in μB/f.u.: 0.00
Space-group type: P6_3/m, No. 176
Volume in Å³/f.u.: 165.7
Formation energy from the elements in eV per formula unit: -4.39
Energy above the most stable polymorph in this dataset in meV/atom: 0



[2]
The following is a DFT calculation (PBE) of a geometry-optimized Na3Bi2H42C18I9N6O9 structure.

Cell and atoms, written as POSCAR:
```
Na3Bi2H42C18I9N6O9
1.0
12.960 -0.019 4.026